Search the notes further down for the word "from" and give back each line that has it.
+++
Record 1
The following is a DFT calculation (PBE with a Hubbard U) of a geometry-optimized LiFeSiO4 structure.

Values from the calculation:
The energy of formation from the pure elements comes out at -2.4862 eV per atom. For the distance to the lowest polymorph of the same formula, the calculation gives 51 meV per atom. As for the space group: No. 33. As for the corrected total energy (MP2020 scheme): -7.57 eV per atom.

abc: 5.136 6.437 10.845
angles: 90.00 90.00 90.00
Element x y z (fractional)
1 Si 0.763 0.017 0.673
2 Si 0.263 0.517 0.827
3 Si 0.763 0.483 0.173
4 Si 0.263 0.983 0.327
5 Li 0.263 0.014 0.833
6 Li 0.263 0.486 0.333
7 Li 0.763 0.514 0.667
8 Li 0.763 0.986 0.167
9 Fe 0.262 0.776 0.585
10 Fe 0.262 0.724 0.085
11 Fe 0.762 0.276 0.915
12 Fe 0.762 0.224 0.415
13 O 0.126 0.195 0.384
14 O 0.082 0.985 0.673
15 O 0.626 0.695 0.116
16 O 0.698 0.275 0.087
17 O 0.582 0.485 0.827
18 O 0.198 0.725 0.913
19 O 0.154 0.952 0.185
20 O 0.626 0.805 0.616
21 O 0.582 0.015 0.327
22 O 0.654 0.048 0.815
23 O 0.082 0.515 0.173
24 O 0.698 0.225 0.587
25 O 0.126 0.305 0.884
26 O 0.154 0.548 0.685
27 O 0.654 0.452 0.315
28 O 0.198 0.775 0.413



Record 2
The following is a DFT calculation (PBE with a Hubbard U) of a geometry-optimized LiFe2Si2O8 structure.

Values from the calculation:
The energy of formation from the pure elements comes out at -2.3364 eV per atom. For the distance to the lowest polymorph of the same formula, the calculation gives 1 meV per atom. As for the space group: No. 1. As for the corrected total energy (MP2020 scheme): -7.67 eV per atom.

abc: 8.772 8.786 8.790
angles: 108.59 107.99 107.43
Element x y z (fractional)
1 O 0.964 0.962 0.288
2 O 0.061 0.080 0.755
3 O 0.675 0.366 0.334
4 O 0.738 0.030 0.059
5 O 0.350 0.670 0.683
6 O 0.656 0.601 0.933
7 O 0.034 0.305 0.364
8 O 0.594 0.270 0.896
9 O 0.747 0.086 0.376
10 O 0.258 0.902 0.583
11 O 0.902 0.577 0.255
12 O 0.077 0.743 0.065
13 O 0.665 0.350 0.659
14 O 0.279 0.943 0.958
15 O 0.379 0.036 0.311
16 O 0.397 0.753 0.088
17 O 0.589 0.937 0.672
18 O 0.079 0.383 0.747
19 O 0.316 0.654 0.365
20 O 0.302 0.387 0.040
21 O 0.666 0.666 0.344
22 O 0.961 0.286 0.968
23 O 0.946 0.675 0.595
24 O 0.354 0.315 0.650
25 Li 0.233 0.056 0.456
26 Li 0.537 0.773 0.939
27 Li 0.061 0.458 0.232
28 Fe 0.893 0.719 0.130
29 Fe 0.136 0.902 0.730
30 Fe 0.435 0.622 0.217
31 Fe 0.722 0.134 0.898
32 Fe 0.201 0.428 0.613
33 Fe 0.621 0.211 0.429
34 Si 0.098 0.283 0.875
35 Si 0.565 0.387 0.786
36 Si 0.379 0.790 0.574
37 Si 0.873 0.100 0.270
38 Si 0.799 0.572 0.384
39 Si 0.279 0.869 0.105



Record 3
The following is a DFT calculation (PBE with a Hubbard U) of a geometry-optimized Li2FeSiO4 structure.

Values from the calculation:
The energy of formation from the pure elements comes out at -2.5578 eV per atom. For the distance to the lowest polymorph of the same formula, the calculation gives 5 meV per atom. As for the space group: No. 33. As for the corrected total energy (MP2020 scheme): -7.25 eV per atom.

abc: 5.058 6.296 11.011
angles: 90.00 90.00 90.00
Element x y z (fractional)
1 O 0.432 0.751 0.588
2 O 0.368 0.247 0.054
3 O 0.932 0.251 0.912
4 O 0.932 0.249 0.412
5 O 0.368 0.253 0.554
6 O 0.358 0.036 0.838
7 O 0.864 0.529 0.156
8 O 0.364 0.029 0.344
9 O 0.358 0.464 0.338
10 O 0.868 0.753 0.946
11 O 0.364 0.471 0.844
12 O 0.858 0.964 0.162
13 O 0.432 0.749 0.088
14 O 0.858 0.536 0.662
15 O 0.864 0.971 0.656
16 O 0.868 0.747 0.446
17 Li 0.265 0.751 0.423
18 Li 0.765 0.251 0.077
19 Li 0.264 0.497 0.159
20 Li 0.764 0.503 0.841
21 Li 0.764 0.997 0.341
22 Li 0.265 0.749 0.923
23 Li 0.765 0.249 0.577
24 Li 0.264 0.003 0.659
25 Fe 0.263 0.490 0.667
26 Fe 0.263 0.010 0.167
27 Fe 0.763 0.990 0.833
28 Fe 0.763 0.510 0.333
29 Si 0.758 0.751 0.588
30 Si 0.758 0.749 0.088
31 Si 0.258 0.249 0.412
32 Si 0.258 0.251 0.912



Record 4
The following is a DFT calculation (PBE with a Hubbard U) of a geometry-optimized LiFeSiO4 structure.

Values from the calculation:
+++
Values from the calculation:
The energy of formation from the pure elements comes out at -2.4862 eV per atom. For the distance to the lowest polymorph of the same formula, the calculation gives 51 meV per atom. As for the space group: No. 33. As for the corrected total energy (MP2020 scheme): -7.57 eV per atom.
Values from the calculation:
The energy of formation from the pure elements comes out at -2.3364 eV per atom. For the distance to the lowest polymorph of the same formula, the calculation gives 1 meV per atom. As for the space group: No. 1. As for the corrected total energy (MP2020 scheme): -7.67 eV per atom.
Values from the calculation:
The energy of formation from the pure elements comes out at -2.5578 eV per atom. For the distance to the lowest polymorph of the same formula, the calculation gives 5 meV per atom. As for the space group: No. 33. As for the corrected total energy (MP2020 scheme): -7.25 eV per atom.
Values from the calculation: